Monthly Archives: April 2013

30 posts

The Myth of Safety

The myth of safety lies shattered at the finish line of the Boston Marathon. Whether we are in a movie theater, an office building, a school room, a college campus, or a sporting event, we are no more safe than if we were on the front lines in Afghanistan. Those on the front lines are constantly aware of the danger. However, in day-to-day life we believe the lie that we are entitled to safety. The truth is that we are only as safe as God has purposed for us to be.   It is the lie of the Enemy that laws, regulations, police protection, armies, and air bags will keep us safe. All of these things have a place. But […]

Amnon & Self-Pity – A case study

Amnon was a disgusting, pathetic, miserable young man. Driven by self-pity he became a sexual predator. He is someone you need to understand. Romans 15:4 tells us that whatever was written in Scripture was written for our instruction. So, as unpleasant as it is, the Holy Spirit has something for you to learn regarding Amnon.    The core information about Amnon is written in 2 Samuel 13:2. All of the other events in this narrative flow from this one observation:   “Amnon became so obsessed with his sister Tamar that he made himself ill. She was a virgin, and it seemed impossible for him to do anything to her.”   Obviously Amnon was sexually obsessed with Tamar. But if this […]

These words are your life!

Records of crystals from another source follow >
-- begin --
No. 1
PmPr2Tm12: calculated X-ray diffraction stick pattern (Cu Kα (weighted mean of Kα1 and Kα2)), based on a DFT-relaxed cell (PBE, Alexandria).
Intensities are scaled so that the largest is 100.

Main lines, most intense first (2θ = 10–90°):
2θ (°)	I_rel
32.2	100.0
30.4	97.0
32.7	94.1
31.4	61.7
32.5	50.7
30.5	50.6
33.7	45.3
46.4	37.7
60.2	33.4
36.4	33.4
62.4	30.4
61.3	28.1

Structure:
```
PmPr2Tm12
1.0
3.5266 -5.5537 0.0000
3.5266 5.5537 0.0000
-1.7301 0.0000 24.2406
Pm Pr Tm
2 4 24
direct
0.2500 0.2500 0.0001
0.7500 0.7500 0.9999
0.0692 0.0692 0.2734
0.4310 0.4310 0.7266
0.5690 0.5690 0.2734
0.9308 0.9308 0.7266
0.0508 0.5511 0.2012
0.0837 0.5839 0.3328
0.1377 0.6381 0.5539
0.1420 0.1420 0.5699
0.2141 0.2141 0.8639
0.2300 0.7300 0.9245
0.2700 0.7700 0.0755
0.2860 0.2860 0.1362
0.3583 0.3583 0.4299
0.3619 0.8623 0.4461
0.4161 0.9163 0.6672
0.4489 0.9492 0.7988
0.5511 0.0508 0.2012
0.5839 0.0837 0.3328
0.6381 0.1377 0.5539
0.6417 0.6417 0.5701
0.7140 0.7140 0.8638
0.7300 0.2300 0.9245
0.7700 0.2700 0.0755
0.7859 0.7859 0.1361
0.8580 0.8580 0.4301
0.8623 0.3619 0.4461
0.9163 0.4161 0.6672
0.9492 0.4489 0.7988
```

No. 2
TbSm2Au: calculated X-ray diffraction stick pattern (Cu Kα (weighted mean of Kα1 and Kα2)), based on a DFT-relaxed cell (PBE, Alexandria).
Intensities are scaled so that the largest is 100.

Main lines, most intense first (2θ = 10–90°):
2θ (°)	I_rel
30.2	100.0
36.5	53.7
49.2	27.1
61.9	19.1
35.1	16.3
58.9	15.3
80.2	12.7
62.8	11.2
83.7	10.2
55.9	9.7
43.0	6.2
34.7	6.0

Structure:
```
TbSm2Au
1.0
3.7014 0.0000 0.0000
-1.8507 3.2055 0.0000
0.0000 0.0000 30.6852
Tb Sm Au
3 6 3
direct
0.0000 0.0000 0.0000
0.3333 0.6667 0.6667
0.6667 0.3333 0.3333
0.0000 0.0000 0.2383
0.0000 0.0000 0.7617
0.3333 0.6667 0.4283
0.3333 0.6667 0.9050
0.6667 0.3333 0.0950
0.6667 0.3333 0.5717
0.0000 0.0000 0.5000
0.3333 0.6667 0.1667
0.6667 0.3333 0.8333
```

No. 3
P: calculated X-ray diffraction stick pattern (Cu Kα (weighted mean of Kα1 and Kα2)), based on a DFT-relaxed cell (PBE, Alexandria).
Intensities are scaled so that the largest is 100.

Main lines, most intense first (2θ = 10–90°):
2θ (°)	I_rel
13.4	100.0
15.5	54.0
14.9	53.5
33.3	30.4
32.7	27.7
24.9	18.1
27.1	16.9
30.7	15.6
38.5	11.4
30.1	10.9
20.9	10.3
23.9	10.0

Structure:
```
P
1.0
7.8571 0.0000 0.0000
-2.7241 11.9682 0.0000
-3.6519 -3.7490 11.8882
P
42
direct
0.0023 0.0761 0.1731
0.0101 0.4565 0.9171
0.0201 0.6109 0.8514
0.0301 0.9830 0.3017
0.0543 0.4772 0.3302
0.0809 0.9188 0.5716
0.1190 0.3354 0.3972
0.1622 0.7816 0.6425
0.2227 0.1513 0.8248
0.2305 0.3347 0.1502
0.2330 0.2371 0.2737
0.2575 0.8771 0.8260
0.2711 0.2702 0.7242
0.2706 0.6783 0.1503
0.3105 0.7318 0.3318
0.3533 0.5800 0.3912
0.3846 0.0086 0.6386
0.3878 0.1753 0.6007
0.4313 0.0533 0.8232
0.4714 0.4842 0.2709
0.4851 0.5881 0.1516
0.5149 0.4119 0.8484
0.5286 0.5158 0.7291
0.5687 0.9467 0.1768
0.6122 0.8247 0.3993
0.6154 0.9914 0.3614
0.6467 0.4200 0.6088
0.6895 0.2682 0.6682
0.7294 0.3217 0.8497
0.7289 0.7298 0.2758
-- stop --

Moses cried out to israel to impress the things of God upon their hearts. Moses knew the words of God would bring Israel close to God. He reminded them that these words of God that he had spoken to them were their very life (Deuteronomy 32:47). Moses knew that if God’s words were spoken and taught every day to God’s people, life would flow abundantly. Moses knew that if Israel would love God enough to talk to their children about Him wherever they were, the nation would remain faithful to God.    Solomon’s words capture the impact of parents who take every opportunity to talk about God and His ways. The parent who faithfully follows Deuteronomy 6:7 can quote Proverbs […]

Thought for the Lord’s Day

Who (or what) do your kids think you worship?   Your children know you for who you really are.  They see you when you are not aware they are watching. They hear your words when you think they can’t. They see your face in your unguarded moments.  They know what is really important to you. They know what you really think of God and his word.    Would you welcome hearing their honest assessment of who (or what) you really worship?   Something to think about. Something to talk to God about. Be honest with your children. Be honest with God.  Love God and your kids enough to pray this prayer:   Search me, God, and know my heart;     test […]

Self-Pity & Sexual Immorality

A toddler sulks because she can’t play when it is time for a nap. A nine-year-old feels deprived because he has to share the video game console with his little brother.  A young teenager thinks he is an outcast because no one who is “cool” ever talks to him. All three of these children are candidates for sexual immorality and perversion.  You might think, how did you make that connection? Good question. Here is the why behind this thinking. Sexual immorality is rooted in selfishness. The lusts of the flesh say that a person should be able have what they want or desire. There is cultural outrage that anyone, especially God, would set boundaries on sexual conduct. The core issue […]

The Power of Thunder

A strong line of thunder storms is passing through our part of the country this evening. The strength of thunder is unsettling and at times, terrifying. Thunder’s power also reminds us that when God says he will do something he has the power to accomplish it.   There is beauty in thunder. It’s not a settling beauty. It is the beauty of sheer power. As Psalm 19 teaches, the sky has much to say about God. The sunrise gives hope. The sunset proclaims the wonder of God in breathtaking sketches.  Thunder brings awe.    Thunder is the voice of God!   The voice of the Lord echoes above the sea.     The God of glory thunders.     The Lord thunders over the […]

Patience verses Chaos

Raising children is a battle with the immediate. If something is difficult it should not be. If there is a problem, someone else should fix it. If something is wanted, it must be possessed. This is the mindset that also dominates western culture. To test this statement look at television for an hour and notice in particular the commercials. Then notice the problems that you hear others talking about. Then, listen to the content of prayer requests. There are exceptions to this trend. But, sadly they are only exceptions.   People must see biblical wisdom in action for the church to function as salt and light. The world is continually dissatisfied with its craving for immediate gratification. This leads to […]

The Storms of Life

Jesus foretold in the Sermon on Mount that life on earth is full of storms. Regardless of whether one is rich or poor, wise or unwise, prepared or unprepared, the storms will come. This is what Jesus Christ, the Lord of the Universe, taught. Yet, when the storms come people are surprised. “Why is this happening?”  We tend to forget that we live in a sin-cursed world. We are told we can be safe. We can have insurance. We have healthcare. We have building codes. We have laws. We have safety devices. We believe we can protect ourselves. We believe that we are entitled to safety and peace.  We believe that the purpose of relationships is to make us happy […]

America’s Hope – Your Family, Your Church

The last post warned of America’s disrespect for God and his ways. It is essential for Christians to have a clear view of the dangers the enemy presents.  It is equally important to maintain hope and confidence in God’s power. This is where your family and your church community come in.   God often uses the small things to humble the proud. David had five smooth stones. Gideon had 300 men. Jonathan had his sword. Jonah had only words. One way that God can turn an entire culture around is when parents start to talk about God to their children.   If we talk about God, then to maintain credibility, we have to believe what we say. If we represent […]